Listing =
'''
The following is a DFT calculation (PBE) of a relaxed Tb2ThGa crystal.

Calculated values
ΔH_f (0 K), eV per atom: -0.19
Space-group type: P4/mmm (123)
Offset from the most stable computed form, meV per atom: 84
Size of the total moment, μB/f.u.: 0.00

Unit cell a=4.7330 b=4.7893 c=4.7893 alpha=90.00 beta=90.00 gamma=90.00
Sites, in units of the cell vectors:
Tb 0.0000 0.0000 0.5000
Tb 0.0000 0.5000 0.0000
Ga 0.5000 0.0000 0.0000
Th 0.5000 0.5000 0.5000

~~~~~

DFT (PBE) results for a geometry-optimized Mg3CoPt12 structure.

Computed properties:
Magnetic moment ... 2.82 μB/f.u.
Total energy ... -5.7460 eV per atom
Density of states at the Fermi level ... 15.6 states/eV/cell
Space-group type ... No. 123
Volume ... 245 Å³/cell

a b c (Å): 3.9379 3.9379 15.7969
angles (deg): 90.00 90.00 90.00
With the nearest neighbours (Å) after each atom.
Atoms (fractional coordinates):
Mg 0.0000 0.0000 0.0000  12 Pt 2.78-2.80
Mg 0.0000 0.0000 0.2515  12 Pt 2.78-2.82
Mg 0.0000 0.0000 0.7485  12 Pt 2.78-2.82
Co 0.0000 0.0000 0.5000  12 Pt 2.74-2.78
Pt 0.0000 0.5000 0.1260  8 Pt 2.78-2.81, 4 Mg 2.79-2.80
Pt 0.0000 0.5000 0.3795  2 Co 2.74, 8 Pt 2.74-2.81, 2 Mg 2.82
Pt 0.0000 0.5000 0.6205  2 Co 2.74, 8 Pt 2.74-2.81, 2 Mg 2.82
Pt 0.0000 0.5000 0.8740  8 Pt 2.78-2.81, 4 Mg 2.79-2.80
Pt 0.5000 0.0000 0.1260  8 Pt 2.78-2.81, 4 Mg 2.79-2.80
Pt 0.5000 0.0000 0.3795  2 Co 2.74, 8 Pt 2.74-2.81, 2 Mg 2.82
Pt 0.5000 0.0000 0.6205  2 Co 2.74, 8 Pt 2.74-2.81, 2 Mg 2.82
Pt 0.5000 0.0000 0.8740  8 Pt 2.78-2.81, 4 Mg 2.79-2.80
Pt 0.5000 0.5000 0.0000  4 Mg 2.78, 8 Pt 2.80
Pt 0.5000 0.5000 0.2526  4 Mg 2.78, 8 Pt 2.81
Pt 0.5000 0.5000 0.5000  8 Pt 2.74, 4 Co 2.78
Pt 0.5000 0.5000 0.7474  4 Mg 2.78, 8 Pt 2.81

***

DFT (PBE) results for a geometry-optimized Mg2CoPt structure.

Computed properties:
Magnetic moment ... 1.37 μB/f.u.
Total energy ... -4.2259 eV per atom
Density of states at the Fermi level ... 3.9 states/eV/cell
Space-group type ... No. 166
Volume ... 62 Å³/cell

a b c (Å): 8.7436 8.7436 8.7436
angles (deg): 19.06 19.06 19.06
With the nearest neighbours (Å) after each atom.
Atoms (fractional coordinates):
Mg 0.2476 0.2476 0.2476  3 Co 2.67, 3 Pt 2.77, 6 Mg 2.89
Mg 0.7524 0.7524 0.7524  3 Co 2.67, 3 Pt 2.77, 6 Mg 2.89
Co 0.5000 0.5000 0.5000  6 Mg 2.67, 6 Co 2.89
Pt 0.0000 0.0000 0.0000  6 Mg 2.77, 6 Pt 2.89

***

DFT (PBE) results for a geometry-optimized Mg2CoPt structure.

Computed properties:
Magnetic moment ... 1.69 μB/f.u.
Total energy ... -4.2488 eV per atom
Density of states at the Fermi level ... 3.9 states/eV/cell
Space-group type ... No. 99
Volume ... 65 Å³/cell

a b c (Å): 3.2413 3.2413 6.1704
angles (deg): 90.00 90.00 90.00
With the nearest neighbours (Å) after each atom.
Atoms (fractional coordinates):
Mg 0.0000 0.0000 0.0000  4 Co 2.69, 1 Pt 2.75
Mg 0.5000 0.5000 0.3215  4 Pt 2.70, 1 Co 2.77
Co 0.5000 0.5000 0.7709  4 Pt 2.65, 5 Mg 2.69-2.77
Pt 0.0000 0.0000 0.5543  4 Co 2.65, 5 Mg 2.70-2.75

***

DFT (PBE) results for a geometry-optimized Mg2CoPt structure.

Computed properties:
Magnetic moment ... 1.41 μB/f.u.
Total energy ... -4.2826 eV per atom
Density of states at the Fermi level ... 3.6 states/eV/cell
Space-group type ... No. 25
Volume ... 63 Å³/cell

a b c (Å): 2.8442 3.9403 5.5913
angles (deg): 90.00 90.00 90.00
With the nearest neighbours (Å) after each atom.
Atoms (fractional coordinates):
Mg 0.0000 0.0000 0.0000  2 Pt 2.65-2.94, 4 Co 2.72, 2 Mg 2.84
Mg 0.5000 0.5000 0.3059  2 Co 2.65-2.94, 4 Pt 2.72, 2 Mg 2.84
Co 0.5000 0.5000 0.7796  6 Mg 2.65-2.94, 4 Pt 2.81, 2 Co 2.84
Pt 0.0000 0.0000 0.5260  6 Mg 2.65-2.94, 4 Co 2.81, 2 Pt 2.84

***

DFT (PBE) results for a geometry-optimized PuMgCoPt structure.

Computed properties:
Magnetic moment ... 3.74 μB/f.u.
Total energy ... -7.5862 eV per atom
Density of states at the Fermi level ... 7.8 states/eV/cell
Space-group type ... No. 216
Volume ... 72 Å³/cell

a b c (Å): 4.6735 4.6735 4.6735
angles (deg): 60.00 60.00 60.00
With the nearest neighbours (Å) after each atom.
'''

Job =
Please retype the whole of the entries earlier on verbatim.

Result =
The following is a DFT calculation (PBE) of a relaxed Tb2ThGa crystal.

Calculated values
ΔH_f (0 K), eV per atom: -0.19
Space-group type: P4/mmm (123)
Offset from the most stable computed form, meV per atom: 84
Size of the total moment, μB/f.u.: 0.00

Unit cell a=4.7330 b=4.7893 c=4.7893 alpha=90.00 beta=90.00 gamma=90.00
Sites, in units of the cell vectors:
Tb 0.0000 0.0000 0.5000
Tb 0.0000 0.5000 0.0000
Ga 0.5000 0.0000 0.0000
Th 0.5000 0.5000 0.5000

~~~~~

DFT (PBE) results for a geometry-optimized Mg3CoPt12 structure.

Computed properties:
Magnetic moment ... 2.82 μB/f.u.
Total energy ... -5.7460 eV per atom
Density of states at the Fermi level ... 15.6 states/eV/cell
Space-group type ... No. 123
Volume ... 245 Å³/cell

a b c (Å): 3.9379 3.9379 15.7969
angles (deg): 90.00 90.00 90.00
With the nearest neighbours (Å) after each atom.
Atoms (fractional coordinates):
Mg 0.0000 0.0000 0.0000  12 Pt 2.78-2.80
Mg 0.0000 0.0000 0.2515  12 Pt 2.78-2.82
Mg 0.0000 0.0000 0.7485  12 Pt 2.78-2.82
Co 0.0000 0.0000 0.5000  12 Pt 2.74-2.78
Pt 0.0000 0.5000 0.1260  8 Pt 2.78-2.81, 4 Mg 2.79-2.80
Pt 0.0000 0.5000 0.3795  2 Co 2.74, 8 Pt 2.74-2.81, 2 Mg 2.82
Pt 0.0000 0.5000 0.6205  2 Co 2.74, 8 Pt 2.74-2.81, 2 Mg 2.82
Pt 0.0000 0.5000 0.8740  8 Pt 2.78-2.81, 4 Mg 2.79-2.80
Pt 0.5000 0.0000 0.1260  8 Pt 2.78-2.81, 4 Mg 2.79-2.80
Pt 0.5000 0.0000 0.3795  2 Co 2.74, 8 Pt 2.74-2.81, 2 Mg 2.82
Pt 0.5000 0.0000 0.6205  2 Co 2.74, 8 Pt 2.74-2.81, 2 Mg 2.82
Pt 0.5000 0.0000 0.8740  8 Pt 2.78-2.81, 4 Mg 2.79-2.80
Pt 0.5000 0.5000 0.0000  4 Mg 2.78, 8 Pt 2.80
Pt 0.5000 0.5000 0.2526  4 Mg 2.78, 8 Pt 2.81
Pt 0.5000 0.5000 0.5000  8 Pt 2.74, 4 Co 2.78
Pt 0.5000 0.5000 0.7474  4 Mg 2.78, 8 Pt 2.81

***

DFT (PBE) results for a geometry-optimized Mg2CoPt structure.

Computed properties:
Magnetic moment ... 1.37 μB/f.u.
Total energy ... -4.2259 eV per atom
Density of states at the Fermi level ... 3.9 states/eV/cell
Space-group type ... No. 166
Volume ... 62 Å³/cell

a b c (Å): 8.7436 8.7436 8.7436
angles (deg): 19.06 19.06 19.06
With the nearest neighbours (Å) after each atom.
Atoms (fractional coordinates):
Mg 0.2476 0.2476 0.2476  3 Co 2.67, 3 Pt 2.77, 6 Mg 2.89
Mg 0.7524 0.7524 0.7524  3 Co 2.67, 3 Pt 2.77, 6 Mg 2.89
Co 0.5000 0.5000 0.5000  6 Mg 2.67, 6 Co 2.89
Pt 0.0000 0.0000 0.0000  6 Mg 2.77, 6 Pt 2.89

***

DFT (PBE) results for a geometry-optimized Mg2CoPt structure.

Computed properties:
Magnetic moment ... 1.69 μB/f.u.
Total energy ... -4.2488 eV per atom
Density of states at the Fermi level ... 3.9 states/eV/cell
Space-group type ... No. 99
Volume ... 65 Å³/cell

a b c (Å): 3.2413 3.2413 6.1704
angles (deg): 90.00 90.00 90.00
With the nearest neighbours (Å) after each atom.
Atoms (fractional coordinates):
Mg 0.0000 0.0000 0.0000  4 Co 2.69, 1 Pt 2.75
Mg 0.5000 0.5000 0.3215  4 Pt 2.70, 1 Co 2.77
Co 0.5000 0.5000 0.7709  4 Pt 2.65, 5 Mg 2.69-2.77
Pt 0.0000 0.0000 0.5543  4 Co 2.65, 5 Mg 2.70-2.75

***

DFT (PBE) results for a geometry-optimized Mg2CoPt structure.

Computed properties:
Magnetic moment ... 1.41 μB/f.u.
Total energy ... -4.2826 eV per atom
Density of states at the Fermi level ... 3.6 states/eV/cell
Space-group type ... No. 25
Volume ... 63 Å³/cell

a b c (Å): 2.8442 3.9403 5.5913
angles (deg): 90.00 90.00 90.00
With the nearest neighbours (Å) after each atom.
Atoms (fractional coordinates):
Mg 0.0000 0.0000 0.0000  2 Pt 2.65-2.94, 4 Co 2.72, 2 Mg 2.84
Mg 0.5000 0.5000 0.3059  2 Co 2.65-2.94, 4 Pt 2.72, 2 Mg 2.84
Co 0.5000 0.5000 0.7796  6 Mg 2.65-2.94, 4 Pt 2.81, 2 Co 2.84
Pt 0.0000 0.0000 0.5260  6 Mg 2.65-2.94, 4 Co 2.81, 2 Pt 2.84

***

DFT (PBE) results for a geometry-optimized PuMgCoPt structure.

Computed properties:
Magnetic moment ... 3.74 μB/f.u.
Total energy ... -7.5862 eV per atom
Density of states at the Fermi level ... 7.8 states/eV/cell
Space-group type ... No. 216
Volume ... 72 Å³/cell

a b c (Å): 4.6735 4.6735 4.6735
angles (deg): 60.00 60.00 60.00
With the nearest neighbours (Å) after each atom.